

Well-Known Member
Misquoting the Bible now? Deflection and has nothing to do with any immigration laws the Puritans supposedly broke (as you claimed).

Of course they didn't break any 'immigration laws', as there were none around at the time.

Don't be foolish.

Which part of 'Thou shalt not kill' is misquoting the Bible?

That part of The Ten Commandments is a compulsion against 'unlawful' killing.

Sooo, what is 'lawful' killing?

Matters of war, self-defense, and state-sponsored capital punishment.

Under which part of the exceptions for 'unlawful' killing did the wholesale murder of a native populace fall under?


Inordinately Right
Of course they didn't break any 'immigration laws', as there were none around at the time.

Don't be foolish.

Which part of 'Thou shalt not kill' is misquoting the Bible?

That part of The Ten Commandments is a compulsion against 'unlawful' killing.

Sooo, what is 'lawful' killing?

Matters of war, self-defense, and state-sponsored capital punishment.

Under which part of the exceptions for 'unlawful' killing did the wholesale murder of a native populace fall under?
I'd say the wholesale murder of a native populace in America would most likely fall under the books of Deuteronomy and Joshua, where God's will was to commit genocide against the Canaanites- men, women and children, with land as the spoils of their holy war. The bible is full of these wonderful contradictions.... Thou shall not kill, unless it benefits the chosen ones.
Using religion to justify atrocities is classic history repeating itself. Just call it manifest destiny and wash your hands of the consequences.


golden ticket member


Strength through joy
History has now confirmed that the native American people were themselves descendants of earlier immigrants .
There are structures through out the USA which to date no one can truly identify who the builders were . The natives who the pilgrims meet had a primitive culture and were not capable of building these structures .


Strength through joy
Public university hosts special graduation party for illegal immigrants

Undocumented students graduating from San Francisco State University (SFSU) received an extra treat this week—a special celebration at the university in their honor.

Hosted by the student organization Improving Dreams, Equity, Access and Success (IDEAS), 25 students who are residing in the country illegally gathered on campus for the public university’s first annual Beyond Borders Graduation. According to the Golden Gate Express, SFSU’s student newspaper, around 300 friends and family members also attended the ceremony.
SFSU’s official commencement ceremony isn’t until May 22, but Nancy Jodaitis, advisor to IDEAS, said the special ceremony on May 17 was more “intimate.”
“It’s more intimate, so people tell their personal stories,” Jodaitis told the Golden Gate Express. “The stories are all different, but the challenges and struggles are very similar and this is a safe space for them to share.”

According to the student newspaper, the ceremony was held at the Annex, an on-campus facility.

The Other Side

Well-Known Troll
Does anyone recall when the US citizens voted to allow for this influx of immigrants ?

YES, I can answer that question.

The US Citizens VOTED to increase immigrants everytime they elect the republicans to control the house and senate.

In doing so, the republicans have INCREASED guest worker bills allowing thousands and thousands of immigrants to enter the country and then become illegal.

The problem compounds itself out of bad policy, but then, the republicans cry about immigration even though they know they caused it directly.

Even today, the republicans continue to pass bills allowing more and more Guest Worker bills as if we didnt have a big enough problem already.

The difference today, is that unlike unskilled low wage workers, now they want to import HIGH SKILLED, HIGH TECH workers to enter the country.

At the end of the day, ITS YOU BABA, and the rest of these right wing loonies on this board that VOTES to increase immigrants.

H1b, H1C, H2a are codes for guest workers.

You did this baba. Dont like it?

Vote democratic and allow the congress to reverse those bills that caused this in the first place. The dems have tried to pass amendments to these GOP bills to limit or reduce visas and your buddies in congress continue to shoot them down.

You would know that if you were an informed american, but youre not.

You watch fox news.

Data records from another source follow:
┌──
Starting from a PBE-relaxed structure, the XRD peak list of TbTaAsO was calculated for Cu Ka.

The 10 most intense peaks (2θ from 5° to 70°), sorted by position:
2θ/deg, d/Å, I_rel, index
9.79, 9.037, 341, 0 0 1
19.65, 4.518, 284, 0 0 2
29.66, 3.012, 229, 0 0 3
30.01, 2.978, 887, 1 0 2
33.51, 2.674, 1000, 1 1 1
37.52, 2.397, 305, 1 0 3
37.80, 2.380, 738, 1 1 2
45.84, 1.979, 616, 2 0 0
52.02, 1.758, 498, 1 1 4
55.76, 1.648, 309, 2 1 2

Atomic structure:
```
data_TbTaAsO
_chemical_formula_sum 'Tb2 Ta2 As2 O2'
_cell_length_a 3.9590
_cell_length_b 3.9590
_cell_length_c 9.0366
_cell_angle_alpha 90.00
_cell_angle_beta 90.00
_cell_angle_gamma 90.00
_space_group_name_H-M_alt 'P 4/n m m'
_space_group_IT_number 129
loop_
_space_group_symop_operation_xyz
'x,y,z'
'-x,-y,-z'
'-y+1/2,x,z'
'y+1/2,-x,-z'
'-x+1/2,-y+1/2,z'
'x+1/2,y+1/2,-z'
'y,-x+1/2,z'
'-y,x+1/2,-z'
'x+1/2,-y,-z'
'-x+1/2,y,z'
'-y,-x,-z'
'y,x,z'
'-x,y+1/2,-z'
'x,-y+1/2,z'
'y+1/2,x+1/2,-z'
'-y+1/2,-x+1/2,z'
loop_
_atom_site_label
_atom_site_type_symbol
_atom_site_fract_x
_atom_site_fract_y
_atom_site_fract_z
Tb1 Tb 0.2500 0.2500 0.1228
Ta1 Ta 0.2500 0.7500 0.5000
As1 As 0.2500 0.2500 0.6995
O1 O 0.2500 0.7500 0.0000
```

* * * * *

Starting from a crystal structure in Alexandria, relaxed with GGA+U, the PXRD pattern of Zn2MoSeO7 was computed for Cu Kα X-rays.
Lines closer than 0.1° are merged.

Peak list (6 most intense, 2θ = 10–90°, in order of falling intensity)
index	2θ/deg	intensity
1 2 0	27.0	100.0
1 1 1	25.0	44.9
1 0 -2	27.5	38.4
2 2 -2	44.9	27.1
└──



Strength through joy
TOS , thank you for that info on legal immigration .
My question was about refugees , DACA & DAPA . Those pesky E.O. that obama signed .
Instead of shipping refugees half way across the globe , wouldn't be better to settle them near where they used to live .
While DACA & DAPA reward known immigration law breakers with the ability for permanent residence , while others who apply legally are denied .
Is this the country you want ?
Full of known criminals . Honestly .
I know that DACA & DAPA were frozen by a federal judge , but some seem to be continuing on with hope that the orders will be overturned .

A clinic held yesterday by the Mayor’s Office of New Bostonians at Mario Umana Academy in East Boston saw hundreds of undocumented immigrants come for information and an informal screening process.

The Other Side

Well-Known Troll
TOS , thank you for that info on legal immigration .
My question was about refugees , DACA & DAPA . Those pesky E.O. that obama signed .
Instead of shipping refugees half way across the globe , wouldn't be better to settle them near where they used to live .
While DACA & DAPA reward known immigration law breakers with the ability for permanent residence , while others who apply legally are denied .
Is this the country you want ?
Full of known criminals . Honestly .
I know that DACA & DAPA were frozen by a federal judge , but some seem to be continuing on with hope that the orders will be overturned .

A clinic held yesterday by the Mayor’s Office of New Bostonians at Mario Umana Academy in East Boston saw hundreds of undocumented immigrants come for information and an informal screening process.

I laugh at your concern.. You are worried about 1% of the immigration problem, and 99% of the remaining immigration problem you ignore.

Immigration is only a talking point for the republican party and people like you.

If you were truly concerned about illegals flooding this country, you would support democratic bills in congress to repeal GOP bills or democratic amendments to drastically reduce the number of guest workers brought into this country by the GOP.

On one hand, people like you, bitch about illegals driving on our roads drunk and killing people, you bitch about them taking jobs, you bitch about them causing crimes, but you say nothing about how they get into this country through an invitation by the right wing of this country.

You cant have it both ways.

If you want to be concerned about immigration, then be concerned about the realities of immigration and not just the talking points of the day carefully crafted to confuse you and make you sound ignorant to the subject.



Strength through joy
Now if obama would let ICE do their job properly , no families would need to be broken up just deport the entire family together .
Round up ever person who has overstayed their visas and directly put them on a flight home . These illegals are easy to find and quick deportations are the key to stop more from coming here . As for the refugees place them in areas similar to their home country's climate . The US Gov't hold title to quite a bit of this country's land . I'm sure suitable lands could be found . Keep them away from the decaying cities and demand that they provide for themselves .


golden ticket member
Now if obama would let ICE do their job properly , no families would need to be broken up just deport the entire family together .
Round up ever person who has overstayed their visas and directly put them on a flight home . These illegals are easy to find and quick deportations are the key to stop more from coming here . As for the refugees place them in areas similar to their home country's climate . The US Gov't hold title to quite a bit of this country's land . I'm sure suitable lands could be found . Keep them away from the decaying cities and demand that they provide for themselves .
deport the entire family.........yes!!! Togetherness!!

The Other Side

Well-Known Troll
Now if obama would let ICE do their job properly , no families would need to be broken up just deport the entire family together .
Round up ever person who has overstayed their visas and directly put them on a flight home . These illegals are easy to find and quick deportations are the key to stop more from coming here . As for the refugees place them in areas similar to their home country's climate . The US Gov't hold title to quite a bit of this country's land . I'm sure suitable lands could be found . Keep them away from the decaying cities and demand that they provide for themselves .

Again, you want to deal with the result and not the problem.

What do you think happens to a guest worker once they enter the country??

Depending on classification, the republicans have passed laws that allow some to bring their families across the border after 12 months or so. Once they are here, they get entitlements.

You may not like it, but dont hate the players, hate the game. You voted for those men in congress and the senate who make these stupid laws that create an influx of immigrants.

A typical guest worker comes into the United States, and they are human beings like the rest of us.

First, they have to move around the country, what did you think they were going to do, walk? Take a bus? (without an id) FLY? (without an id) They end up buying old beat up cars and drive them without a license and insurance. Then, they drink alcohol during off time, and some end up driving drunk and getting into accidents. Sometimes, US citizens are killed. Whos fault is this??

The GOP.

Second, once they are here, like the rest of us, they get into relationships. Sometimes they meet american citizens and since they are God fearing catholics, they dont use protections, and BOOM, you have children born to an american and alien. You would have us believe that we should just deport the WHOLE FAMILY instead of breaking up a family. But who is responsible for this scenario playing out in the first place??


Guest workers have to live somewhere, they have to live like normal people in this country. They dont live in barracks at the place of employment, so there is no controls over these people. They are FREE to roam the country and do what they like until the point where they disappear into the USA never to be found again. Whos fault is this??


Once guest workers start making families and having children, those children are american, whether both parents are illegal or not. Hispanics for example have multiple children, and in doing so, the american taxpayer is stuck paying the bill, just because some employer lobbied the GOP to pass laws that allowed them to enter in the first place. Whos fault is this??


The right wing of this country has done all of this damage going back to Ronald Reagan, and every republican president and every republican controlled congress and senate has made it worse.

You are seeing the end result of bad policy by one political party when they have the majority.

What you think you see, is a democratic problem, because the democrats understand how they got here, and understand how they are a protected class of people once in this country.

YOU only want to deal in the hyperbolic rhetoric of immigration and not the problem itself.

If YOU were truly concerned, you would demand that ALL OF THE GUEST WORKER BILLS be killed or repealed. YOU would demand that the american companies who lobby for guest workers hire american workers and pay them accordingly. If YOU were truly bothered by immigration, YOU would vote differently and STOP putting people into congress who do things that dont fit your concerns.

But at the end of the day, you WONT do anything differently.

You will continue to support the party who causes the problem, and you will continue to have to pay for it, so why complain?



Strength through joy
So if this is totally the GOP's fault , then why didn't obama with his super majority of democrats in both houses fix this problem ?